COVID-19: Ten signs that we’re stressed
‘My love, I find that you’ve been a little stressed these past few days. You’ve yelled at the kids four times and now the dog runs away every time he crosses your path. Do you think you could try to reduce your stress a little?’.
‘My love, you squeezed the toothpaste tube so tight when you talked to me that you emptied it out with one go…’
Humans seem to have lost the ability to detect their own stress responses. People around us are sometimes better at detecting these responses than we are. Yet, whenever we have a stress response, our bodies and brains send us many clues to inform us of that state. My spontaneous anger, the day before yesterday, (see my blog post entitled: COVID-19: A sudden outburst of anger) is one such clue. But there are others.
You can only manage a problem if you know it exists. So, to help us manage our stress in these times of COVID-19, I want to give you a few of the ABC’s on the stress response and the clues that our body and brain send out to inform us of this condition. Once the stress response is understood, I will then be able to give you some simple methods to reduce the stress response in future blog posts.
This stress response has existed since the dawn of time and is necessary for survival. It allowed for prehistoric men to detect threats in the environment (such as mammoths) and survive. When the brain detects a threat, it activates a hormonal system that leads to the production of stress hormones by the body. Once produced, these stress hormones allow the body to handle the threat by running away or fighting it. However, a certain amount of stress hormones will also access the brain and change the way we process information. When faced with stressful situations, you produce a stress response that is expressed by the following 10 signs.
- Your pupils dilate: Pupil dilation occurs to allow more light into the eye to maximize night vision, in case the threat occurs at night. Thus, a stress response will result in clearer, more defined objects. The next time you feel a stress response overwhelming you, be on the lookout for this clue. You’ll notice that the contours of the objects around you are clearer, so you can see a little farther away.
- Your hair stands on end: Think of a cat who comes across a dog. The hair on its body will stand on end, making it look bigger, increasing its chances of scaring the dog. The same response occurs in humans, but who are much less hairy than prehistoric humans who hunted mammoths. If you look at the hair on your arms when you have a stress response, you’ll see them standing on end. But don’t worry, this hair straightening response only applies to the body, so your hair on your head will not move a hair :).
- Your heart rate increases: This response develops to allow your body to send more blood to your muscles to give you the strength you need to fight the threat. Thus, when you have a stress response, you are stronger. It’s the body’s normal response to send a boost of blood to the muscles, allowing the muscles to increase their ability to fight the threat.
- Your breathing becomes shallow: This response sends more oxygen to the muscles and, again, increases our strength to fight the threat. You can easily recognize this accelerated breathing in another person. This is because the person is gasping for air and, when speaking, will tend to have a shaky voice. This is a stress indicator that is very easy to recognize in another person!
- Your muscles become tense: With all that blood and oxygen being directed to the muscles, the muscles are ready for battle! They tighten, your fists clench, your jaw tightens. When you recognize that your muscles are very tense, pay attention to your heart and breathing. You will notice that your heart is beating faster than usual and your breathing seems more difficult. You are in the midst of a stress response.
- Your sweat glands open up: The sweat glands allow us to sweat. Generally, we sweat when we do sports or demanding work, as both activities increase body temperature and perspiration helps us lower our body temperature. When we have a stress response, we mobilize energy as if we were doing something physically demanding and the sweat glands open, releasing sweat, to help us lower our body temperature. Under these conditions, we sweat without even moving.
- Your eyes start to wander: Before a threat, your eyes start to wander from one place to another very quickly. The person under stress thus analyzes the environment to detect other potential threats, to make sure that everything is fine. He or she is constantly trying to identify elements that will allow them to handle the stress response.
- You have spontaneous anger: You are scanning the environment for clues that will impede your threat and suddenly something interferes with your threat detection work (for example, your child stands in front of you while you listen to a special television program about COVID-19). When this happens, there is a high probability that you will have an outburst of spontaneous anger that will lead you to yell at your child to move so that you can continue watching the special program.
- You are constantly thinking about the situation, the person, the event that is stressing you out: When your brain detects a threat, it begins to take up all the place in your mind because the brain is trying to ensure your survival. It will direct your thinking towards the threat until you have overcome it. That’s when the little hamster enters your mind. This clue is impossible to detect from the outside, but it is one of the most obvious signs that you are under stress in your life.
- You start to forget things: Since your brain is constantly thinking about the situation that is causing you stress, it becomes increasingly difficult to pay attention to and register other information from the environment that is not related to the threat. You walk into a room in the house wondering what you came in to do, or you lose your train of thought.
You should not be afraid of these physical and mental displays of stress. They are completely normal bodily responses that occur in any stressful situation. However, it is important to recognize these signs to become aware of our stress responses and work to control them as they occur. When we do this, we prevent our acute stresses from leading to chronic stress.
-- The page is interrupted by quantum chemistry results --
~~~
# 1
DFT (ωB97M-V/def2-TZVPD) results for 2 unconnected molecules or ions with the total composition C4H10N2O in a non-equilibrium geometry.

CARTESIAN COORDINATES (ANGSTROEM)
C1 1.040 0.220 0.127
C2 -1.714 -1.496 -0.608
C3 -0.186 0.833 -0.005
N1 1.957 0.447 1.189
N2 1.506 -0.579 -0.962
C4 -0.847 1.972 0.058
O1 -1.329 -0.763 0.558
H1 -0.434 -0.642 1.054
H2 1.935 1.419 1.492
H3 2.294 -1.162 -0.709
H4 1.746 -0.129 1.996
H5 1.768 0.001 -1.755
H6 -0.852 -1.758 -1.223
H7 -2.423 -0.904 -1.188
H8 -2.222 -2.399 -0.274
H9 -0.316 2.913 0.121
H10 -1.925 2.027 0.131

Orbital gap ... 7.9 eV
2S+1 ... 1
SMILES string ... C=C=C(N)N.CO
E_LUMO ... 0.9 eV
E_tot ... -342.982217 a.u.
Energy above the lowest of the compared OMol25 structures with the same formula, charge and spin ... 5.966 eV

# 2
DFT (ωB97M-V/def2-TZVPD) results for CH4N2O in the gas phase in a non-equilibrium geometry.

CARTESIAN COORDINATES (ANGSTROEM)
C1 -0.773 -0.170 0.036
N1 -1.968 0.130 -0.092
N2 1.506 0.183 -0.015
O1 0.191 0.736 -0.089
H1 -0.258 -1.370 0.306
H2 -2.638 -0.619 0.023
H3 1.984 0.692 0.729
H4 1.956 0.418 -0.899

Orbital gap ... 11.1 eV
2S+1 ... 1
SMILES string ... [H]/N=C/ON
E_LUMO ... 1.0 eV
E_tot ... -225.157300 a.u.
Energy above the lowest of the compared OMol25 structures with the same formula, charge and spin ... 3.665 eV

=====

(1)
Formula: C6H8KLiO6
Source: OMol25
Level of theory: wB97M-V/def2-TZVPD

Output
Energy above the lowest of the compared OMol25 structures with the same formula, charge and spin (kJ/mol): 541.8
Kohn-Sham gap (eV): 5.8811
DFT total energy (eV): -35161.9382

The geometry in ORCA input format:
```
! RIJCOSX wB97M-V def2-TZVPD def2/J DEFGRID3
* xyz 0 1
H -4.243 -0.178 -0.230
C -3.169 -0.261 -0.464
H -3.037 -0.203 -1.556
O -0.844 2.217 -0.154
H 4.032 1.585 -0.972
C 2.259 -0.798 -0.224
C 3.585 1.040 -0.136
C -1.858 1.789 -0.718
H 2.040 1.991 1.105
Li 0.114 -2.629 -0.386
C 2.142 1.466 0.151
O -2.446 0.798 0.142
O 1.470 0.157 0.255
H -2.944 -1.698 1.121
H -3.040 -2.402 -0.505
O 3.454 -0.342 -0.516
H 1.688 2.022 -0.676
O 1.904 -1.938 -0.415
C -2.589 -1.571 0.075
K -0.785 0.161 0.706
H 4.225 1.090 0.752
O -1.207 -1.564 0.021
*
```

Here are the Mulliken charges for atoms 1 to 2, given in e:
1 H 0.302
2 C -0.294

=====

(2)
Formula: C32H31GeN4O6S2SeTl
Source: OMol25
Level of theory: wB97M-V/def2-TZVPD

Output
Energy above the lowest of the compared OMol25 structures with the same formula, charge and spin (kJ/mol): 46.6
Kohn-Sham gap (eV): 6.3293
DFT total energy (eV): -200142.5832

The geometry in ORCA input format:
```
! RIJCOSX wB97M-V def2-TZVPD def2/J DEFGRID3
* xyz 2 1
H -28.485 -3.210 10.863
C -19.473 -8.691 0.042
H -21.928 0.401 2.116
H -21.029 -7.152 0.061
S -19.632 -9.419 2.480
H -27.417 -7.637 7.466
H -18.875 -4.407 1.314
Tl -23.803 -3.574 4.090
C -27.119 -2.683 2.500
H -16.266 -0.456 -0.508
C -27.356 -4.275 9.258
H -22.639 -9.916 3.288
C -26.171 -0.771 3.304
N -26.224 -2.094 3.309
H -21.458 0.268 3.800
C -26.679 -7.006 6.964
C -27.896 -1.955 1.575
~~~
I can now imagine you all on the edge of your seats waiting for what’s next. So, what do we do to decrease these stress responses? Fear not, I will continue to write blogs for you in the coming days to give you ways to manage these stress responses.
But before doing so, you need to practice recognizing your stress responses because you will only be able to implement stress management methods if you recognize the stress response when it occurs!
So… what are the signs that you recognize in yourself?
From Sonia Lupien, PhD. Director of the Center for Studies on Human Stress